Request
What is needed: work out how many lines underneath have the word "is" in them; a number is enough.
Excerpt
Here is a structure of composition C20H29CeN2 from the OMol25 dataset. Energies are from the ωB97M-V functional and the def2-TZVPD basis.

Results
net charge = +2
⟨S²⟩ = 0.755
LUMO energy (alpha / beta) = -7.3423 / -7.5843 eV
calculated total energy = -37102.699 eV
HOMO (alpha / beta) = -14.7 / -14.6 eV
multiplicity = 2

CARTESIAN COORDINATES (ANGSTROEM)
C 0.959 -1.757 -1.729
H 1.361 -2.754 -1.812
H 0.050 -1.714 -2.366
H 0.543 -1.814 -0.310
C 2.034 -0.732 -2.089
H 1.628 0.279 -2.318
H 2.752 -0.617 -1.258
C 2.812 -1.203 -3.347
H 3.591 -0.480 -3.617
H 3.281 -2.170 -3.163
H 2.128 -1.303 -4.196
C -1.931 1.359 0.102
C -1.320 1.904 -1.077
C -1.486 0.951 -2.142
C -2.180 -0.192 -1.611
C -2.461 0.067 -0.223
C -3.287 -0.787 0.676
C -2.648 -1.368 -2.400
C -1.064 1.106 -3.564
C -0.644 3.232 -1.171
C -2.028 2.020 1.437
Ce 0.094 -0.134 -0.468
H -3.044 -2.151 -1.745
H -3.453 -1.074 -3.091
H -1.851 -1.811 -3.011
H -3.414 -1.793 0.262
H -2.839 -0.888 1.674
H -4.292 -0.355 0.812
H -1.254 2.788 1.563
H -3.004 2.511 1.571
H -1.915 1.299 2.258
H 0.043 3.276 -2.025
H -1.378 4.042 -1.299
H -0.071 3.461 -0.262
H -0.535 0.217 -3.942
H -1.940 1.252 -4.215
H -0.404 1.971 -3.696
N 0.144 -1.431 3.963
C -0.431 -1.399 2.752
N 0.326 -0.674 1.903
C 1.424 -0.187 2.637
C 2.571 0.474 2.181
C 3.639 0.574 3.090
C 3.541 0.058 4.394
C 2.368 -0.581 4.838
C 1.325 -0.673 3.934
H -0.220 -1.930 4.773
H -1.332 -1.949 2.487
H 2.601 0.866 1.154
H 4.565 1.062 2.780
H 4.393 0.157 5.067
H 2.251 -1.005 5.835

----------
Solution
1